Avoiding certain pitfalls can mean the difference between a struggling hobby and a thriving business. When it comes to countertops, here are a few of the most common mistakes we at the Concrete Countertop Institute think are the biggest stumbling blocks for aspiring concrete countertop contractors.
Mistake #1: Lack of communication with your clients.
It’s vital you explain what you are providing to your client and how your concrete will perform. Communication goes beyond setting expectations and includes project communication about what to expect before, during and after the job is done. To avoid this mistake:
• Quantum chemistry results that have nothing to do with the text:
230
Properties=species:S:1:pos:R:3:lowdin_charge:R:1 method="wB97M-V/def2-TZVPD" e_homo_ev=-12.03 total_charge=+2 gap_ev=8.6967 energy_ev=-150316.08686
C -27.791 -9.716 -6.001 -0.073
C -28.855 -10.355 -6.952 -0.116
N -28.558 -9.925 -8.370 -0.253
C -28.706 -8.459 -8.390 -0.027
C -27.112 -10.206 -8.807 -0.137
C -26.971 -9.960 -10.316 -0.040
C -29.488 -10.612 -9.322 -0.076
C -31.031 -10.504 -9.025 -0.217
O -31.236 -9.133 -9.040 -0.199
C -32.655 -8.805 -9.024 -0.021
H -27.872 -8.612 -5.789 0.098
H -26.767 -10.006 -6.130 0.025
H -27.973 -10.217 -5.007 0.091
H -29.849 -10.057 -6.573 0.141
H -28.745 -11.452 -6.913 0.140
H -28.567 -7.973 -9.374 0.126
H -27.851 -8.064 -7.860 0.057
H -29.598 -8.086 -7.844 0.118
H -27.029 -11.249 -8.555 0.114
H -26.443 -9.591 -8.248 0.071
H -25.980 -10.308 -10.617 0.091
H -26.992 -8.895 -10.541 0.083
H -27.573 -10.726 -10.874 0.097
H -29.151 -11.633 -9.344 0.137
H -29.549 -10.148 -10.298 0.131
H -31.342 -10.988 -8.132 0.108
H -31.558 -11.065 -9.770 0.126
H -32.926 -8.551 -10.048 0.097
H -32.892 -7.955 -8.472 0.055
H -33.246 -9.665 -8.707 0.094
C -37.107 1.312 0.437 -0.038
C -38.085 0.220 -0.101 -0.127
N -37.600 -0.615 -1.278 -0.233
C -36.373 -1.246 -0.743 -0.046
C -38.648 -1.667 -1.597 -0.134
C -38.006 -2.950 -2.169 -0.029
C -37.170 0.156 -2.558 -0.059
C -38.181 0.393 -3.627 -0.248
O -39.284 1.154 -3.263 -0.169
C -38.951 2.622 -3.337 -0.015
H -37.705 1.939 1.152 0.105
H -36.752 2.057 -0.251 0.036
H -36.226 0.926 1.024 0.077
H -38.999 0.641 -0.494 0.127
H -38.373 -0.454 0.669 0.113
H -36.480 -1.630 0.218 0.088
H -35.690 -0.448 -0.753 0.075
H -35.968 -1.951 -1.515 0.091
H -39.340 -1.231 -2.309 0.115
H -39.127 -1.850 -0.654 0.120
H -37.351 -3.403 -1.388 0.091
H -37.329 -2.620 -3.002 0.089
H -38.820 -3.597 -2.427 0.083
H -36.459 -0.541 -2.916 0.083
H -36.593 1.011 -2.197 0.096
H -38.508 -0.571 -4.065 0.138
H -37.682 0.864 -4.476 0.135
H -39.203 2.959 -4.272 0.049
H -37.859 2.915 -3.109 0.100
H -39.633 3.139 -2.655 0.092
C -31.139 -3.400 -4.366 -0.020
C -29.823 -2.969 -3.820 -0.134
N -28.841 -2.543 -4.898 -0.272
C -27.641 -1.995 -4.282 0.003
C -28.348 -3.606 -5.802 -0.146
C -28.049 -4.960 -5.091 -0.027
C -29.514 -1.537 -5.820 -0.065
C -29.909 -0.224 -5.158 -0.190
O -30.799 -0.241 -4.036 -0.232
C -32.071 0.462 -4.347 -0.029
H -31.684 -2.553 -4.703 0.068
H -31.650 -3.589 -3.499 0.045
H -31.106 -4.196 -5.127 0.098
H -29.271 -3.712 -3.332 0.081
H -29.910 -2.112 -3.203 0.107
H -26.964 -2.669 -3.819 0.094
H -27.935 -1.217 -3.573 0.117
H -27.134 -1.472 -5.087 0.107
H -27.433 -3.163 -6.187 0.117
H -29.125 -3.761 -6.507 0.094
H -27.141 -4.883 -4.453 0.042
H -27.610 -5.586 -5.880 0.081
H -28.922 -5.426 -4.582 0.099
H -30.316 -2.145 -6.278 0.107
H -28.700 -1.321 -6.492 0.132
H -30.341 0.396 -6.022 0.141
H -29.054 0.414 -4.889 0.128
H -31.894 1.606 -4.310 0.122
H -32.691 0.063 -3.579 0.055
H -32.412 0.215 -5.379 0.087
C -21.524 -9.599 -1.652 -0.070
C -21.182 -9.224 -3.076 -0.178
N -22.145 -8.281 -3.772 -0.200
C -22.373 -7.160 -2.780 0.013
- Know exactly how your sealer performs in terms of staining, scratching and heat, and have a printed handout for prospects.
- Put the performance characteristics in your contract.
- Use a templating checklist and an installation checklist that you send to the client or contractor before you go to template or install.
Mistake #2: Experimenting on your client.
It’s good to incorporate new products, technologies and innovations into your concrete countertops if you need to make improvements. However, it’s in your best interest to research those products and test their performance thoroughly before ever using them on a client.
It’s also tempting to constantly change things in an attempt to improve them. But if you can’t demonstrate a real and positive change that will directly benefit your client and/or save you money in the long run, then don’t fall into the trap of “fixing” something that isn’t broken. To avoid this mistake:
- Once you have a mix design and sealer that do what you want and don’t cause your clients problems, don’t change them unless necessary.
- Any change you make should be justified by a clear business need that reduces costs, increases profits or results in higher client satisfaction.
- Any change you make should be thoroughly tested before using it on client projects.
Mistake #3: Making mistakes!
Making technical mistakes in the process of creating concrete countertops is expensive. It’s not just the cost of the materials, it’s the time involved. Consider the lost time in redoing a job and the lost business from not being able to take on new projects.
Most mistakes happen because you have a hard time keeping up with all of the details. Develop quality checklists for every step of a project, and have your employees — and you — use them consistently. To avoid this mistake:
- Every project should have a job folder that contains all of the pertinent information about the job, including a detailed project description, checklists, client contact information and schedule.
- Don’t rush. Spending a few minutes thinking through the best way to do something can save many hours later.
- Don’t let a client rush you. Say no when asked if you can start forming before the sink is available. Say no when asked if you can just use the drawings and skip the physical template. Don’t speed up a project by taking shortcuts.
Mistake #4: Not using a contract.
Doing business without a contract is like driving an uninsured vehicle while not wearing a seatbelt. Contracts don’t scare off clients and they don’t limit creativity. A clearly written contract shows that you’re a professional who has thought out all of the details and is looking out for the best interest of the client. To avoid this mistake:
- Know what the legal or permitting requirements are in your state. In some states a contract is legally required for jobs more than a certain dollar amount, and in some states the content of the contract is regulated.
- Use a contract that clearly states all of your and the client’s obligations, a detailed project description, payment schedule, remediation options, a warranty and performance expectations. Use it for every project.
Mistake #5: Running your business like a hobby.
A hobby is something you do to have fun that costs you money. A business is something you do to make money and that you enjoy (hopefully). Not all parts of a business are going to be fun, but you must balance the fun and the work to focus on the end result. To avoid this mistake:
- Mark Twain said, “Eat a live frog first thing in the morning and nothing worse will happen to you all day.” Do what you need to do to build your business, even if it’s not fun.
- Have a clear business need for every sample, color, shape or experiment you do and every piece of equipment you purchase.
- Plan ahead in materials ordering to save big on shipping.
Mistake #6: Neglecting marketing.
You took a class, got the tools and have spent the last six months making samples. Now you simply have to sit back and wait for the customers to call. After all, if you build a better mouse trap the world will beat a path to your door. Right?
Wrong! That old adage is a fallacy. Being successful in business means you actively seek out customers and educate them in what you offer. They won’t know who you are, what you can do or why they should choose you instead of your competition unless you actively market your business. To avoid this mistake:
- Don’t be scared of marketing. Simply networking and handing out your cards is marketing. Having a website is marketing. Marketing is anything and everything you do to build awareness and get prospects to become interested in your offerings.
- Use relationship marketing. Learn how to work with the influencers such as kitchen designers and architects to leverage your marketing efforts.
- Be frugal with money on print ads, until you’ve already worked through free marketing techniques and can afford expensive ads.
Mistake #7: Making your concrete countertops look like floors.
Floors belong in the decorative concrete industry. Concrete countertops belong in the kitchen and bath industry. Sure, they are made out of concrete and have color and other nuances, but their fit, finish, functionality and performance all get compared to other countertop materials.
Floors are seen from a distance, whereas countertops are literally closer than arm’s length. A single sealer drip that is nearly invisible on a floor becomes a glaring defect on a countertop. To avoid this mistake:
- Find a good performance sealer that you can learn how to apply to get a perfect finish.
- Learn what high-end countertops look like. Subscribe to high-end design magazines. Visit high-end kitchen design showrooms in your area.
Use the tips in this article and you’ll avoid problems, sell more countertops, have happier clients and ultimately have a more profitable, less stressful business.